Your job: work out how many lines further below have the word "scheme" in them; a number is enough.

'''
(1)
AlV2O4: relaxed, PBE with a Hubbard U.

Results
**Energy relative to the lowest polymorph listed for this composition**: 36 meV per atom
**Density**: 4.3 Mg/m³
**Corrected total energy (MP2020 scheme)**: -8.687 eV/atom
**Calculated formation energy**: -2728.8 meV per atom
**V**: 298 Å³ per cell
**Space-group type**: No. 2

```
AlV2O4
1.0
5.958 0.000 0.000
0.112 6.009 0.000
0.032 0.030 8.332
Al V O
4 8 16
direct
0.002 0.248 0.129
0.498 0.751 0.627
0.502 0.249 0.373
0.998 0.752 0.871
0.000 0.000 0.500
0.000 0.500 0.500
0.245 0.252 0.747
0.258 0.748 0.244
0.500 0.000 0.000
0.500 0.500 0.000
0.742 0.252 0.756
0.755 0.748 0.253
0.004 0.001 0.254
0.008 0.495 0.251
0.246 0.247 0.493
0.249 0.752 0.501
0.251 0.754 0.991
0.252 0.246 0.004
0.493 0.504 0.750
0.498 0.995 0.754
0.502 0.005 0.246
0.507 0.496 0.250
0.748 0.754 0.996
0.749 0.246 0.009
0.751 0.248 0.499
0.754 0.753 0.507
0.992 0.505 0.749
0.996 0.999 0.746
```

(2)
SrMnO3: relaxed, PBE with a Hubbard U.

Results
**Density**: 5.2 Mg/m³
**Corrected total energy (MP2020 scheme)**: -7.624 eV/atom
**Calculated formation energy**: -2484.8 meV per atom
**V**: 362 Å³ per cell
**Space-group type**: No. 194

```
SrMnO3
1.0
5.530 0.000 0.000
-2.765 4.789 0.000
0.000 0.000 13.672
Sr Mn O
6 6 18
direct
0.000 0.000 0.250
0.000 0.000 0.750
0.333 0.667 0.088
0.333 0.667 0.412
0.667 0.333 0.588
0.667 0.333 0.912
0.000 0.000 0.000
0.000 0.000 0.500
0.333 0.667 0.656
0.333 0.667 0.844
0.667 0.333 0.156
0.667 0.333 0.344
0.029 0.514 0.750
0.164 0.329 0.582
0.164 0.329 0.918
0.164 0.836 0.582
0.164 0.836 0.918
0.329 0.164 0.082
0.329 0.164 0.418
0.486 0.514 0.750
0.486 0.971 0.750
0.514 0.029 0.250
0.514 0.486 0.250
0.671 0.836 0.582
0.671 0.836 0.918
0.836 0.164 0.082
0.836 0.164 0.418
0.836 0.671 0.082
0.836 0.671 0.418
0.971 0.486 0.250
```

(3)
Mn5P4H6O20: relaxed, PBE with a Hubbard U.

Results
**Density**: 3.2 Mg/m³
**Corrected total energy (MP2020 scheme)**: -7.425 eV/atom
**Calculated formation energy**: -2088.7 meV per atom
**V**: 744 Å³ per cell
**Space-group type**: No. 15

```
Mn5P4H6O20
1.0
8.813 -4.593 0.000
8.813 4.593 0.000
-1.547 0.000 9.196
Mn P H O
10 8 12 40
direct
0.100 0.900 0.750
0.155 0.204 0.884
0.204 0.155 0.384
0.228 0.385 0.176
0.385 0.228 0.676
0.615 0.772 0.324
0.772 0.615 0.824
0.796 0.845 0.616
0.845 0.796 0.116
0.900 0.100 0.250
0.098 0.580 0.862
0.100 0.725 0.394
0.275 0.900 0.106
0.420 0.902 0.638
0.580 0.098 0.362
0.725 0.100 0.894
0.900 0.275 0.606
0.902 0.420 0.138
0.252 0.702 0.989
0.298 0.748 0.511
0.345 0.513 0.721
0.394 0.522 0.148
0.478 0.606 0.352
0.487 0.655 0.779
0.513 0.345 0.221
0.522 0.394 0.648
0.606 0.478 0.852
0.655 0.487 0.279
0.702 0.252 0.489
0.748 0.298 0.011
0.017 0.151 0.723
0.028 0.794 0.545
0.063 0.606 0.026
0.071 0.333 0.229
0.133 0.558 0.338
0.151 0.017 0.223
0.191 0.659 0.839
0.198 0.396 0.819
0.206 0.972 0.955
0.212 0.292 0.535
0.271 0.708 0.411
0.292 0.212 0.035
0.292 0.729 0.089
0.333 0.071 0.729
0.341 0.809 0.661
0.394 0.937 0.474
0.396 0.198 0.319
0.411 0.419 0.650
0.419 0.411 0.150
0.442 0.867 0.162
0.558 0.133 0.838
0.581 0.589 0.850
0.589 0.581 0.350
0.604 0.802 0.681
0.606 0.063 0.526
0.659 0.191 0.339
0.667 0.929 0.271
0.708 0.271 0.911
0.708 0.788 0.965
0.729 0.292 0.589
0.788 0.708 0.465
0.794 0.028 0.045
0.802 0.604 0.181
0.809 0.341 0.161
0.849 0.983 0.777
0.867 0.442 0.662
0.929 0.667 0.771
0.937 0.394 0.974
0.972 0.206 0.455
0.983 0.849 0.277
```

(4)
MgV2Hg2O6: relaxed, PBE with a Hubbard U.

Results
**Density**: 5.1 Mg/m³
**Corrected total energy (MP2020 scheme)**: -6.485 eV/atom
**Calculated formation energy**: -1934.2 meV per atom
**V**: 204 Å³ per cell
**Space-group type**: No. 1

```
MgV2Hg2O6
1.0
3.618 0.000 0.000
-0.076 6.845 0.000
-0.075 -0.165 8.224
Mg V Hg O
1 2 2 6
direct
0.000 0.000 0.000
0.496 0.118 0.698
0.985 0.911 0.433
0.451 0.413 0.209
'''

4